What is needed: work out how many lines below have the word "BaNaNb" in them; a number is enough.

~~~
Material: Te2PbNF
Method: DFT, PBE
State: relaxed

Summary:
As for the raw total energy: -3.260 eV/atom. The value obtained for the formation energy without anion corrections is 0.778 eV per atom. As for the total moment: 0.0001 μB/atom. Its polymorph energy (0 for the lowest one) is 0.000 kcal/mol of atoms.

Unit cell a=4.829 b=4.829 c=4.936 alpha=90.00 beta=90.00 gamma=90.00
Sites, in units of the cell vectors:
Te  0.000  0.500  0.000
Te  0.500  0.000  0.000
Pb  0.000  0.000  0.500
N  0.500  0.500  0.500
F  0.500  0.500  0.000


1.
Ca5TbSb4 | PBE | relaxed Values from VASP.

Summary:
Theoretical density = 4.239 g/cm³
Magnetic moment = 0.00 μB per formula unit
Final energy = -39.972 eV per formula unit

```
&SYSTEM
  ibrav = 0, nat = 10, ntyp = 3
/
ATOMIC_SPECIES
Ca 40.08 Ca.upf
Tb 158.93 Tb.upf
Sb 121.76 Sb.upf
ATOMIC_POSITIONS angstrom
Ca 0.000 0.000 0.000
Ca 5.233 0.000 3.832
Ca 5.834 0.000 0.131
Ca 10.534 0.000 7.542
Ca 11.135 0.000 3.841
Tb -0.377 0.000 3.837
Sb 2.546 0.000 5.702
Sb 7.572 0.000 5.741
Sb 8.796 0.000 1.933
Sb 13.822 0.000 1.971
CELL_PARAMETERS angstrom
8.561 -2.524 0.000
8.561 2.524 0.000
-0.755 0.000 7.673
```



2.
Tm6HgPd5 | PBE | relaxed Values from VASP.

Summary:
Theoretical density = 11.293 g/cm³
Magnetic moment = 0.00 μB per formula unit
ΔH_f (0 K) = -0.8522 eV per atom
Final energy = -63.321 eV per formula unit

```
&SYSTEM
  ibrav = 0, nat = 12, ntyp = 3
/
ATOMIC_SPECIES
Tm 168.93 Tm.upf
Hg 200.59 Hg.upf
Pd 106.42 Pd.upf
ATOMIC_POSITIONS angstrom
Tm 2.471 1.721 -2.515
Tm 0.000 1.683 0.000
Tm 2.471 1.721 2.515
Tm 0.000 1.792 4.880
Tm 0.000 5.341 0.000
Tm 0.000 1.792 9.911
Hg 0.000 0.000 7.396
Pd 2.471 0.000 0.000
Pd 0.000 0.000 2.485
Pd 2.471 0.000 4.965
Pd 0.000 3.512 2.431
Pd 0.000 0.000 12.307
CELL_PARAMETERS angstrom
-2.471 3.512 7.396
2.471 -3.512 7.396
2.471 3.512 -7.396
```



3.
Li3Zr3CrS8 | PBE | relaxed Values from VASP.

Summary:
Theoretical density = 3.583 g/cm³
Magnetic moment = 2.55 μB per formula unit
Final energy = -94.850 eV per formula unit

```
&SYSTEM
  ibrav = 0, nat = 15, ntyp = 4
/
ATOMIC_SPECIES
Li 6.94 Li.upf
Zr 91.22 Zr.upf
Cr 52.00 Cr.upf
S 32.06 S.upf
ATOMIC_POSITIONS angstrom
Li 0.000 0.000 0.000
Li 3.106 1.795 0.000
Li 3.106 -1.795 0.000
Zr 1.037 1.795 3.133
Zr 1.037 -1.795 3.133
Zr 4.143 0.000 3.133
Cr -2.069 0.000 3.133
S -0.107 0.000 4.610
S 5.121 1.893 1.653
S 3.165 1.893 4.612
S 2.070 0.000 1.557
S 6.216 0.000 4.708
S 5.121 -1.893 1.653
S 3.165 -1.893 4.612
S 8.394 0.000 1.655
CELL_PARAMETERS angstrom
6.212 -3.590 0.000
6.212 3.590 0.000
-4.138 0.000 6.265
```



4.
BaNaNb | PBE | relaxed Values from VASP.

Summary:
Theoretical density = 4.243 g/cm³
Magnetic moment = 0.00 μB per formula unit
ΔH_f (0 K) = 0.6165 eV per atom
Final energy = -11.462 eV per formula unit

```
&SYSTEM
  ibrav = 0, nat = 6, ntyp = 3
/
ATOMIC_SPECIES
Ba 137.33 Ba.upf
Na 22.99 Na.upf
Nb 92.91 Nb.upf
ATOMIC_POSITIONS angstrom
Ba 0.000 0.000 0.000
Ba 1.033 6.124 6.435
Na 0.720 1.196 3.055
Na 2.064 2.943 5.108
Nb 2.328 3.642 1.207
Nb 3.478 4.751 2.821
CELL_PARAMETERS angstrom
3.427 0.000 0.000
1.100 6.683 0.000
0.226 2.737 8.655
```



5.
K3GaP | PBE | relaxed Values from VASP.

Summary:
Theoretical density = 1.475 g/cm³
Magnetic moment = 0.98 μB per formula unit
ΔH_f (0 K) = 0.2158 eV per atom
Final energy = -10.650 eV per formula unit

```
&SYSTEM
  ibrav = 0, nat = 5, ntyp = 3
/
ATOMIC_SPECIES
K 39.10 K.upf
Ga 69.72 Ga.upf
P 30.97 P.upf
ATOMIC_POSITIONS angstrom
K 0.000 0.000 3.131
K 0.000 3.131 0.000
K 3.131 0.000 0.000
Ga 3.131 3.131 3.131
P 0.000 0.000 0.000
CELL_PARAMETERS angstrom
6.261 0.000 0.000
0.000 6.261 0.000
0.000 0.000 6.261
```



6.
Ba2Sr2Y | PBE | relaxed Values from VASP.

Summary:
Theoretical density = 3.443 g/cm³
Magnetic moment = 0.00 μB per formula unit
ΔH_f (0 K) = 0.4769 eV per atom
Final energy = -11.289 eV per formula unit

```
&SYSTEM
  ibrav = 0, nat = 5, ntyp = 3
/
ATOMIC_SPECIES
Ba 137.33 Ba.upf
Sr 87.62 Sr.upf
Y 88.91 Y.upf
ATOMIC_POSITIONS angstrom
~~~

1